Request:
Please search the rows underneath for the word "C1" and duplicate each line that has it.

Data:
-- begin --
A single C4H2N2S molecule at a distorted geometry, computed with the ωB97M-V functional and the def2-TZVPD basis.

Atoms and positions in Å:
C1 1.303 1.841 -0.028
C2 1.152 0.612 0.146
N1 1.318 -0.688 0.000
C3 0.300 -1.433 -0.075
N2 -0.991 -1.161 0.089
C4 -1.787 -0.261 0.126
S1 -3.056 0.655 -0.068
H1 1.341 2.810 0.212
H2 0.419 -2.376 -0.402

Properties
LUMO level: -0.692 eV
total charge: 0
-- stop --

Outcome:
C1 1.303 1.841 -0.028